**Wanted:**
Repeat the rows underneath from the line with "0.2485 [4" to the end without additions.
**File:**
[1]
Starting from DFT lattice parameters and positions (PBE), the XRD peak list of Pr3NpN4 was computed for Cu Kα (weighted mean of Kα1 and Kα2).
Kinematic intensities with the Lorentz-polarization factor, no thermal factor.

Most intense lines, 2θ from 10° to 90°, low angle first:
2theta, intensity
30.25, 100
30.43, 33
35.13, 93
50.41, 33
50.64, 32
59.99, 31
60.08, 10
60.23, 15
62.92, 17
85.05, 14

Structure:
a = 6.2781 Å, b = 7.2335 Å, c = 6.2370 Å
α = 90.00°, β = 109.61°, γ = 90.00°
Space group P2/c (No. 13)
Symmetry-distinct sites (fractional):
Pr 0.0000 0.1247 0.2500 [2 per cell]
Pr 0.0000 0.3743 0.7500 [2 per cell]
Pr 0.5000 0.3745 0.2500 [2 per cell]
Np 0.5000 0.1246 0.7500 [2 per cell]
N 0.2706 0.3500 0.5265 [4 per cell]
N 0.2801 0.1100 0.9965 [4 per cell]

---

[2]
Starting from DFT lattice parameters and positions (PBE), the XRD peak list of Rb2LiPmI6 was computed for Cu Kα (weighted mean of Kα1 and Kα2).
Kinematic intensities with the Lorentz-polarization factor, no thermal factor.

Most intense lines, 2θ from 10° to 90°, low angle first:
2theta, intensity
24.24, 32
24.80, 100
25.36, 78
25.97, 29
26.09, 28
27.55, 27
29.65, 85
29.97, 55
44.61, 29
44.92, 33

Structure:
a = 8.3616 Å, b = 8.6929 Å, c = 14.5301 Å
α = 90.00°, β = 124.85°, γ = 90.00°
Space group P2_1/c (No. 14)
Symmetry-distinct sites (fractional):
Rb 0.2269 0.0693 0.2485 [4 per cell]
Li 0.0000 0.0000 0.5000 [2 per cell]
Pm 0.5000 0.0000 0.0000 [2 per cell]
I 0.1579 0.2033 0.9587 [4 per cell]
I 0.2602 0.7026 0.9613 [4 per cell]
I 0.3255 0.0109 0.7453 [4 per cell]

---

[3]
Starting from DFT lattice parameters and positions (PBE), the XRD peak list of HgPH2S4 was computed for Cu Kα (weighted mean of Kα1 and Kα2).
Kinematic intensities with the Lorentz-polarization factor, no thermal factor.

Most intense lines, 2θ from 10° to 90°, low angle first:
2theta, intensity
15.97, 100
18.75, 100
23.98, 39
24.13, 42
28.94, 83
29.07, 45
29.57, 62
38.03, 47
39.45, 36
47.78, 46

Structure:
a = 7.3766 Å, b = 7.4214 Å, c = 11.0999 Å
α = 90.00°, β = 90.00°, γ = 90.00°
Space group Fmm2 (No. 42)
Symmetry-distinct sites (fractional):
Hg 0.0000 0.0000 0.0000 [4 per cell]
P 0.0000 0.0000 0.5316 [4 per cell]
H 0.2500 0.2500 0.1465 [8 per cell]
S 0.0000 0.2216 0.6539 [8 per cell]
S 0.2005 0.0000 0.4066 [8 per cell]

---

Q: Number 3 is which compound?
A: HgPH2S4

---

Q: Which formula does entry 1 have?
A: Pr3NpN4

---

Please write out number 3 again, unchanged.
Starting from DFT lattice parameters and positions (PBE), the XRD peak list of HgPH2S4 was computed for Cu Kα (weighted mean of Kα1 and Kα2).
Kinematic intensities with the Lorentz-polarization factor, no thermal factor.

Most intense lines, 2θ from 10° to 90°, low angle first:
2theta, intensity
15.97, 100
18.75, 100
23.98, 39
24.13, 42
28.94, 83
29.07, 45
29.57, 62
38.03, 47
39.45, 36
47.78, 46

Structure:
a = 7.3766 Å, b = 7.4214 Å, c = 11.0999 Å
α = 90.00°, β = 90.00°, γ = 90.00°
Space group Fmm2 (No. 42)
Symmetry-distinct sites (fractional):
Hg 0.0000 0.0000 0.0000 [4 per cell]
P 0.0000 0.0000 0.5316 [4 per cell]
H 0.2500 0.2500 0.1465 [8 per cell]
S 0.0000 0.2216 0.6539 [8 per cell]
S 0.2005 0.0000 0.4066 [8 per cell]
**Completed:**
Rb 0.2269 0.0693 0.2485 [4 per cell]
Li 0.0000 0.0000 0.5000 [2 per cell]
Pm 0.5000 0.0000 0.0000 [2 per cell]
I 0.1579 0.2033 0.9587 [4 per cell]
I 0.2602 0.7026 0.9613 [4 per cell]
I 0.3255 0.0109 0.7453 [4 per cell]

---

[3]
Starting from DFT lattice parameters and positions (PBE), the XRD peak list of HgPH2S4 was computed for Cu Kα (weighted mean of Kα1 and Kα2).
Kinematic intensities with the Lorentz-polarization factor, no thermal factor.

Most intense lines, 2θ from 10° to 90°, low angle first:
2theta, intensity
15.97, 100
18.75, 100
23.98, 39
24.13, 42
28.94, 83
29.07, 45
29.57, 62
38.03, 47
39.45, 36
47.78, 46

Structure:
a = 7.3766 Å, b = 7.4214 Å, c = 11.0999 Å
α = 90.00°, β = 90.00°, γ = 90.00°
Space group Fmm2 (No. 42)
Symmetry-distinct sites (fractional):
Hg 0.0000 0.0000 0.0000 [4 per cell]
P 0.0000 0.0000 0.5316 [4 per cell]
H 0.2500 0.2500 0.1465 [8 per cell]
S 0.0000 0.2216 0.6539 [8 per cell]
S 0.2005 0.0000 0.4066 [8 per cell]

---

Q: Number 3 is which compound?
A: HgPH2S4

---

Q: Which formula does entry 1 have?
A: Pr3NpN4

---

Please write out number 3 again, unchanged.
Starting from DFT lattice parameters and positions (PBE), the XRD peak list of HgPH2S4 was computed for Cu Kα (weighted mean of Kα1 and Kα2).
Kinematic intensities with the Lorentz-polarization factor, no thermal factor.

Most intense lines, 2θ from 10° to 90°, low angle first:
2theta, intensity
15.97, 100
18.75, 100
23.98, 39
24.13, 42
28.94, 83
29.07, 45
29.57, 62
38.03, 47
39.45, 36
47.78, 46

Structure:
a = 7.3766 Å, b = 7.4214 Å, c = 11.0999 Å
α = 90.00°, β = 90.00°, γ = 90.00°
Space group Fmm2 (No. 42)
Symmetry-distinct sites (fractional):
Hg 0.0000 0.0000 0.0000 [4 per cell]
P 0.0000 0.0000 0.5316 [4 per cell]
H 0.2500 0.2500 0.1465 [8 per cell]
S 0.0000 0.2216 0.6539 [8 per cell]
S 0.2005 0.0000 0.4066 [8 per cell]